Wednesday, December 22, 2010

The Digital Story of Christmas

A very well done video of the Nativity 2.0. Traveling myself for the holidays, my sister's video link sharing really made me smile.

Merry Christmas!

Tuesday, December 21, 2010

********
Entry 1:
# Mn2CrIn

A geometry-optimized Mn2CrIn structure (PBEsol, the Alexandria database).

Output
The total moment is 2.48 Bohr magnetons per cell. Its formation energy is 381.6 meV/atom.

Unit cell a=4.4739 b=4.4739 c=2.8822 alpha=90.00 beta=90.00 gamma=103.18
Closest atoms and distances in Å follow each position.
Element x y z (fractional)
1 Mn 0.0000 0.5000 0.0000  4 Cr 2.66, 4 In 2.66, 4 Mn 2.78-2.88
2 Mn 0.5000 0.0000 0.0000  4 Cr 2.66, 4 In 2.66, 4 Mn 2.78-2.88
3 Cr 0.0000 0.0000 0.5000  8 Mn 2.66, 2 In 2.78, 2 Cr 2.88
4 In 0.5000 0.5000 0.5000  8 Mn 2.66, 2 Cr 2.78, 2 In 2.88

Entry 2:
# MnCr2In

A geometry-optimized MnCr2In structure (PBEsol, the Alexandria database).

Output
The total moment is 1.98 Bohr magnetons per cell. Its formation energy is 396.1 meV/atom.

Unit cell a=4.2627 b=4.2627 c=4.2627 alpha=60.00 beta=60.00 gamma=60.00
Closest atoms and distances in Å follow each position.
Element x y z (fractional)
1 Mn 0.0000 0.0000 0.0000  4 Cr 2.61, 4 In 2.61
2 Cr 0.5000 0.5000 0.5000  4 Cr 2.61, 4 In 2.61
3 Cr 0.7500 0.7500 0.7500  4 Cr 2.61, 4 Mn 2.61
4 In 0.2500 0.2500 0.2500  4 Cr 2.61, 4 Mn 2.61

Entry 3:
# MnCr2In

A geometry-optimized MnCr2In structure (PBEsol, the Alexandria database).

Output
The total moment is 2.03 Bohr magnetons per cell. Its formation energy is 327.6 meV/atom.

Unit cell a=2.9208 b=2.9208 c=6.4982 alpha=90.00 beta=90.00 gamma=90.00
Closest atoms and distances in Å follow each position.
Element x y z (fractional)
1 Mn 0.0000 0.0000 0.0000  8 Cr 2.46
2 Cr 0.5000 0.5000 0.2054  4 Mn 2.46, 1 Cr 2.67
3 Cr 0.5000 0.5000 0.7946  4 Mn 2.46, 1 Cr 2.67
4 In 0.0000 0.0000 0.5000  8 Cr 2.82, 4 In 2.92

Entry 4:
# CrInMo2

A geometry-optimized CrInMo2 structure (PBEsol, the Alexandria database).

Output
The total moment is 0.00 Bohr magnetons per cell. Its formation energy is 325.4 meV/atom.

Unit cell a=2.7633 b=2.7633 c=8.7168 alpha=90.00 beta=90.00 gamma=110.46
Closest atoms and distances in Å follow each position.
Element x y z (fractional)
1 Cr 0.0000 0.0000 0.0000  2 Mo 2.48, 2 In 2.74, 4 Cr 2.76
2 In 0.5000 0.5000 0.7424  2 Cr 2.74, 4 In 2.76, 2 Mo 2.88
3 Mo 0.0000 0.0000 0.4655  6 Mo 2.66-2.76, 2 In 2.88
4 Mo 0.5000 0.5000 0.2196  2 Cr 2.48, 6 Mo 2.66-2.76

Entry 5:
# Cr2InMo

A geometry-optimized Cr2InMo structure (PBEsol, the Alexandria database).

Output
The total moment is 0.03 Bohr magnetons per cell. Its formation energy is 426.2 meV/atom.

Unit cell a=4.9517 b=4.9517 c=4.9517 alpha=142.59 beta=127.21 gamma=66.48
Closest atoms and distances in Å follow each position.
Element x y z (fractional)
1 Cr 0.2327 0.2327 0.0000  2 Mo 2.50, 2 In 2.72, 4 Cr 2.73
2 Cr 0.7673 0.7673 0.0000  2 Mo 2.50, 2 In 2.72, 4 Cr 2.73
3 In 0.5000 0.0000 0.5000  4 Mo 2.71, 8 Cr 2.72-2.93
4 Mo 0.0000 0.5000 0.5000  4 Cr 2.50, 4 In 2.71

Entry 6:
# Cr3InMo

A geometry-optimized Cr3InMo structure (PBEsol, the Alexandria database).

Output
The total moment is 7.68 Bohr magnetons per cell. Its formation energy is 2291.7 meV/atom.
********
== The calculated crystals stop here ==

A Christmas Merger

Continuing the current trend of large-scale mergers and acquisitions, it was announced today
at a press conference that Christmas and Hanukkah will merge. An industry source said that the deal had been in the works for about 1300 years.

While details were not available at press time, it is believed that the overhead cost of having twelve days of Christmas and eight days of Hanukkah was becoming prohibitive for both sides.

By combining forces, we're told the world will be able to enjoy consistently high-quality service during the Fifteen Days of Chrismukkah.

As part of the merger agreement, the letters on the dreydl, currently in Hebrew, will be replaced by Latin, thus becoming unintelligible to a wider audience.

In exchange for this concession, it is believed that Santa's vast merchandising and distribution network will be opened up for all Chrismukkah participants.

Despite strong speculation, a spokesman for Christmas, Inc., declined to say whether a takeover of Kwanzaa might also be in the works at this time.

He then closed the press conference by leading all present in a rousing rendition of "Oy Vey, All Ye Faithful."

Thursday, December 16, 2010

Notes On A Hospital Visit In Cuenca

Today I went to the hospital. For fun. Yes, that actually happens.

The deal is that Cuenca's newest hospital, Hospital Universitario del Rio, generally just called Hospital del Rio, was having an open house and luncheon. It's a teaching hospital affiliated with the school where I've been teaching during the week, the University of Azuay, and it's administered by an international hospital group, American Hospital Management.

The hospital is about 18 months old, and a friend of ours who runs the Ecuador Medical Tourism Association invited us to go. All new everything and supposed to be the best in Cuenca, so I thought, why not?

It is a bit odd to be at the hospital when you don't need anything. I'm used to the dreaded scheduling, waiting, waiting, waiting process when it comes to visiting hospitals, or the quick run when you're really sick. Instead, we strolled in, sat through a little presentation, and had a very leisurely tour of the facilities.

Hospital del Rio is certainly state of the art. A group of private investors put the thing together, spending more than $42 million on the project. All brand new equipment made by GE with the goal of becoming THE best hospital in Ecuador, and this half of South America. They've got scanners and machines I'd never heard of, but they looked like stuff that would do the trick, right down to the giraffe incubators in the best NICU in the country.

The catch is that you get it all with Ecuador's brand of hospital service - nurses that don't do much and doctors who do it all. You don't have to wait in lines at private hospitals like this, you can spend 2 hours talking to one doctor, and for the private suite rooms the ratio was one nursing station per 8 rooms. Same day lab results are standard, and private specialists clinics are built into the structure.

And then there are the prices . . . this isn't a complete list, just some stuff I wrote down during the presentation and the tour. As you read these and think about your personal medical care situation, remember that flights are $580 roundtrip out of Denver through March 15th (usually $800 - $900), it's a $100 roundtrip transfer to Cuenca in country from Quito or Guayaquil, and today I am wearing a t-shirt and flip-flops. In December, in case I wasn't rubbing in the no snow situation enough.

Ahem, where was I? Right - listing the prices for state of the art medical care in Cuenca at the Hospital del Rio. Some 80% of the doctors speak English, and private translators that are available 24/7 during your stay in Cuenca can be had for around $10 per hour.
  • Appointment with a specialist: $25 - $30, depending on the specialty (they offer cardiology, oncology, dermatology, geriatrics, hematology, pediatrics, psychiatry, orthopedics, and urology on site, among others). Doctors trained in the US, Chile, Columbia, Germany, etc. The ones we met on the tour seemed very nice, as did the techs we interrupted.

  • Surgery room charge for operations: $3 per minute

  • Day rate for the hospital room: $100 for a private suite (includes sofa bed for guests and a private family lounge) off the bedroom, $70 for what US folks would call a standard private room, and they also have shared 2 and 4 bed rooms if you're "impoverished" and need cheaper options.

  • MRI: $200 - $250, depending on the part of the body you're having done. Same day results. Pretty sure a friend paid $850 for a knee view in the States, so this one impressed me the most.

  • Sonogram: $25, and they are available in 3-D and 4-D. I didn't even know they made 4-D for these things.

  • Endoscopy: $150, and they do rectal for colonoscopies as well as the ones that go down the throat. One of the retired people on the tour with us had paid $5,000 for a major endoscopy in the states, and another had paid $1200.
I can't remember the price for a CT scan - I was distracted by the tech who had a scan of somebody's heart up on their screen, working with the image. Apparently the machine makes 64 cuts (views) that are all integrated, and the Hospital del Rio is using it in heart imaging so they can avoid unnecessary catheterizations. It looked pretty darn cool.

The Hospital del Rio also has an Intensive Care Unit. The bed is $120 a day, and the cost of all the other nursing and support can run as high as $1,000 per day depending on what you're hooked to at the time (and the guide, who is the director, is quick to point out here "You get a lot for that price. It's expensive, but you get ventilation, dialysis, heart monitors, all your nursing, you know, those things. So even though it's a high, it's good.") And so I went to the web to look up some US comparables, and found a study from 2005 on average ICU costs in America that gave the average cost figures as $2,192 per day, and some ICU numbers from 1996 that gave the average as $2,000 - $3,000 per day.

The hospital was quick to emphasize their cleanliness, too. Since they're new, they have advantages in that they don't have decades of built up in-house strains of staph like some places in the States and around the world. They also sterilize all the rooms between guests, and contagious/contaminated rooms have a 24 hour quarantine. UV light checks are used to ensure cleanliness, and the rooms have views of the mountains and the river from which the hospital gets its name.

So . . . kind of a long post about a hospital tour, but it ended up being interesting to me so I thought I'd share. Readers, what were your last hospital experiences like, and what did you have to pay for your stuff?

Wednesday, December 8, 2010

What Volcano?

Lately I've gotten a bunch of pings about the volcano that's erupting. Truthfully, it hadn't even crossed my radar - which should let you know that no, I'm not affected and really, neither is Cuenca. If it was a big deal, I'd have heard.

On the other hand, what's the deal with Ecuador and volcanoes anyway? Here's the insider's scoop:


Ecuador is a mountainous country (thanks to the Andes) and we've still got active volcanoes doing their thing. They are clustered around the capital, Quito (10 - 12 hours overland from me), but there are a few eruptions further south. The locals don't always like it - ash clouds are bad for the tourist business.

The volcano erupting now is Tungurahua, whose name means "Throat of Fire" in Quichua, the indigenous language of Ecuador. It's 150 miles north of Cuenca, so we haven't noticed a thing about it. It's actually the third time this year that Tungurahua has erupted . . . so I guess people are kind of used to it? Do you get used to that kind of thing?

It's not really much of a lava spewer, but it does a lot of fancy things with ash. In 1999, when the volcano "woke up" after being asleep for decades, it did more. Now it just looks like this:


It will really only affect Cuenca if the ash cloud gets blown toward us, which might cause some flight path changes and probably make the satellite Internet system struggle. Other than that. . . not much. Enjoy the photos and don't worry, I'm fine!

Tuesday, December 7, 2010

4 Ways Grading Makes Me Feel Evil

This Friday, I will administer my first full scale exam to the students at my university class. We've covered five sections of International Relations, including measuring national power, human rights issues around the world, and the merits of global security.

When the exam is done, I will see just how much of the debate between communitarianism and individualism sunk in, or whether or not anyone truly read the section on weaknesses in the UN Peacekeeping Force. (Darling readers, can YOU tell me three things that are wrong with international security protocols as exemplified by UN Peacekeepers?)

And as I grade, I will start to feel like the Wicked Witch of the West(ern Hemisphere).
  1. Grading exams makes you doubt the intelligence of humanity. This has been true of every class I've ever taught. Like the kid in my Saturday class who would have passed had he not skipped three test sections, exams are full of little errors that will make the teacher crabby.

  2. Crabby teachers should not grade essay questions. My inner grammar girl jumps to the forefront, channeling my 4th grade teacher with her box where we could turn in our fellow student's grammar errors for more points. It's like my eyes open to see every last comma error and bit of awkward phrasing, to the point that I find it hard to focus on the actual test response. This makes it take a long time, and I get more crabby, and the essay pages start to drip with red ink and comments.

  3. Someone will ask me for a bit of extra "help". I will shoot them down. This will make me feel mean, even though it's only being fair to everyone not to give extra help, answers, or points to one student.

  4. I will hand out an F. At least one. Some will not care because they knew it was coming. Some will cry. Some will be in big trouble at home. In Ecuador, some will take the class again (and they charge you extra tuition your second time through, a nice incentive to study). Someone's life will be thrown off course, made more stressful, or flat out ruined because of my big, red F. I will feel bad about this.
Still, despite all the reasons that grading makes me feel evil, it's still what I will be doing with at least part of my Saturday. Nebraska doesn't play anymore football until the end of the month, so there will be no afternoon game to save me . . . or my students . . . from quality time with the red pen.

Friday, December 3, 2010

Preparing For Christmas In Ecuador

As I'm typing this at Cafecito, the wait staff are putting up the Christmas decorations. Support pillars are already wrapped in tinsel, and the man cursing out the tangled strings of lights makes me feel right at home.

The Christmas star in the mango tree? Not so much.

This holiday season is creeping up on me in the oddest way. I spent my Thanksgiving with my sister at the spa at Piedra de Agua, doing full body mud masks and picking up a sunburn by the thermal pool. It's currently about 76 degrees, and I'm regretting wearing a long sleeve shirt to teach today. Even though I know Christmas is coming, it's hard to wrap my mind around it.

Still, I will be having Christmas in the traditional style, despite having missed Black Friday, Cyber Monday, and all the snow and crowds that went with both. I've got a ticket back to Nebraska for Christmas in the snow. I can't seem to wrap my mind around that level of cold, either, so I'm just focusing on how nice it will be to be home for the holidays!